[Input]
Formula: C33H51N2O3PS6Tl
Source: the OMol25 dataset
Level of theory: the ωB97M-V functional and the def2-TZVPD basis

Last column: Löwdin charge in e.
CARTESIAN COORDINATES (ANGSTROEM)
Tl  -0.2610  -0.0635  -0.1372  0.729
C  -0.0317  -3.8006  -0.0558  -0.447
C  0.5126  -3.7202  -1.4756  -0.471
S  1.5555  -2.2933  -1.8789  0.833
C  3.2069  -2.8981  -1.4158  -0.483
C  3.3888  -3.2131  0.0662  -0.484
S  2.5822  -1.9227  1.0394  0.823
C  2.9274  -2.4793  2.7235  -0.476
C  2.1624  -1.6199  3.7380  -0.487
S  0.5269  -1.0361  3.1988  0.835
C  -0.2730  -2.6587  3.0391  -0.479
C  -1.4681  -2.6746  2.1010  -0.444
S  -1.1604  -2.4394  0.3328  0.943
H  0.7639  -3.8257  0.6804  0.038
H  -0.6594  -4.6903  0.0321  0.112
H  -0.3134  -3.7359  -2.1865  0.074
H  1.1067  -4.6156  -1.6656  0.105
H  3.8906  -2.1102  -1.7327  0.083
H  3.4224  -3.7793  -2.0197  0.095
H  4.4538  -3.2530  0.2946  0.098
H  2.9638  -4.1880  0.3162  0.087
H  3.9950  -2.3996  2.9257  0.094
H  2.6606  -3.5342  2.8112  0.084
H  2.7216  -0.7154  3.9706  0.058
H  2.0354  -2.1751  4.6667  0.095
H  -0.6133  -2.9809  4.0245  0.101
H  0.4771  -3.3755  2.7093  0.061
H  -2.1985  -1.9093  2.3543  0.054
H  -1.9757  -3.6390  2.1670  0.108
C  0.4180  3.1206  0.8719  -0.191
P  1.4256  1.8154  0.1431  0.969
C  2.0252  2.2802  -1.4756  -0.402
C  2.0491  1.3785  -2.5329  -0.119
C  2.5453  1.7773  -3.7650  -0.042
C  3.0148  3.0721  -3.9368  -0.026
C  3.0011  3.9726  -2.8762  -0.032
C  2.5095  3.5822  -1.6418  -0.064
C  2.8242  1.5764  1.2242  -0.377
C  2.7315  1.8712  2.5870  -0.090
C  3.8584  1.7826  3.3870  -0.056
C  5.0746  1.3996  2.8333  -0.028
C  5.1693  1.1046  1.4787  -0.040
C  4.0481  1.1927  0.6738  -0.093
H  1.0654  3.9700  1.0935  0.080
H  -0.0304  2.7612  1.7977  0.053
H  -0.3721  3.4163  0.1884  0.042
H  1.6925  0.3634  -2.3993  0.029
H  2.5667  1.0784  -4.5909  0.117
H  3.3990  3.3834  -4.8991  0.125
H  3.3785  4.9772  -3.0110  0.125
H  2.5145  4.2869  -0.8190  0.120
H  1.7943  2.1834  3.0293  0.108
H  3.7950  2.0319  4.4379  0.124
H  5.9567  1.3478  3.4580  0.125
H  6.1226  0.8244  1.0516  0.123
H  4.1253  0.9787  -0.3853  0.113
S  -3.7462  3.1857  -2.0180  1.110
C  -2.2765  3.8195  -2.6160  -0.341
C  -1.2397  3.0505  -2.1973  -0.244
N  -1.5902  1.9760  -1.4081  -0.082
C  -2.8902  1.9351  -1.2504  -0.483
H  -2.2433  4.7031  -3.2327  0.091
H  -0.2037  3.2200  -2.4526  0.105
H  -3.3968  1.1557  -0.6987  0.067
O  -3.7379  -0.1004  1.1069  0.033
C  -2.9208  0.5520  1.7569  -0.620
O  -1.6631  0.6199  1.5764  -0.164
C  -3.4366  1.4000  2.9387  -0.141
N  -4.9208  1.1304  3.0457  0.108
C  -5.1908  0.4411  4.3707  -0.070
C  -3.8287  -0.1053  4.7661  -0.130
C  -2.8693  0.9885  4.2978  -0.103
H  -3.2750  2.4505  2.7015  0.169
H  -5.1215  0.5082  2.2425  0.157
H  -5.4794  1.9752  2.9473  0.188
H  -5.9686  -0.3038  4.2296  0.141
H  -5.5405  1.1999  5.0672  0.142
H  -3.6409  -1.0491  4.2482  0.117
H  -3.7705  -0.2935  5.8355  0.135
H  -1.8326  0.6683  4.2112  0.099
H  -2.9027  1.8354  4.9845  0.134
C  -0.2688  -1.5375  -5.8975  -0.101
C  -0.8766  -1.8776  -4.5432  -0.368
S  -0.9777  -0.3880  -3.5291  0.974
O  -1.2458  -0.8932  -2.0878  -0.695
C  -2.5470  0.2650  -4.1329  -0.358
C  -3.7707  -0.5173  -3.6916  -0.093
H  -0.2281  -2.4386  -6.5076  0.097
H  0.7465  -1.1567  -5.7893  0.077
H  -0.8628  -0.8049  -6.4444  0.078
H  -0.2354  -2.5533  -3.9833  0.046
H  -1.8707  -2.3145  -4.6230  0.098
H  -2.4283  0.2890  -5.2194  0.102
H  -2.5731  1.2996  -3.7957  0.044
H  -3.8225  -1.5042  -4.1478  0.080
H  -4.6641  0.0265  -3.9967  0.096
H  -3.7902  -0.6398  -2.6091  0.070

Atoms 1-2, force components in eV/Å:
Tl 0.159 -0.191 -0.119
C 0.051 0.076 -0.007

Values from the calculation:
Lowest unoccupied orbital energy   -8.5382 eV
Net charge   +3
Molar mass   951.5 g mol⁻¹
Relative energy (zero: lowest compared OMol25 entry of this formula, charge and spin)   0.0 kcal per mole

***

Formula: C33H51N7O4PPd
Source: the OMol25 dataset
Level of theory: the ωB97M-V functional and the def2-TZVPD basis

[Activity]
What is needed: quote the entries further above from the first line to the one with "5.0672" without altering anything.

[Reply]
Formula: C33H51N2O3PS6Tl
Source: the OMol25 dataset
Level of theory: the ωB97M-V functional and the def2-TZVPD basis

Last column: Löwdin charge in e.
CARTESIAN COORDINATES (ANGSTROEM)
Tl  -0.2610  -0.0635  -0.1372  0.729
C  -0.0317  -3.8006  -0.0558  -0.447
C  0.5126  -3.7202  -1.4756  -0.471
S  1.5555  -2.2933  -1.8789  0.833
C  3.2069  -2.8981  -1.4158  -0.483
C  3.3888  -3.2131  0.0662  -0.484
S  2.5822  -1.9227  1.0394  0.823
C  2.9274  -2.4793  2.7235  -0.476
C  2.1624  -1.6199  3.7380  -0.487
S  0.5269  -1.0361  3.1988  0.835
C  -0.2730  -2.6587  3.0391  -0.479
C  -1.4681  -2.6746  2.1010  -0.444
S  -1.1604  -2.4394  0.3328  0.943
H  0.7639  -3.8257  0.6804  0.038
H  -0.6594  -4.6903  0.0321  0.112
H  -0.3134  -3.7359  -2.1865  0.074
H  1.1067  -4.6156  -1.6656  0.105
H  3.8906  -2.1102  -1.7327  0.083
H  3.4224  -3.7793  -2.0197  0.095
H  4.4538  -3.2530  0.2946  0.098
H  2.9638  -4.1880  0.3162  0.087
H  3.9950  -2.3996  2.9257  0.094
H  2.6606  -3.5342  2.8112  0.084
H  2.7216  -0.7154  3.9706  0.058
H  2.0354  -2.1751  4.6667  0.095
H  -0.6133  -2.9809  4.0245  0.101
H  0.4771  -3.3755  2.7093  0.061
H  -2.1985  -1.9093  2.3543  0.054
H  -1.9757  -3.6390  2.1670  0.108
C  0.4180  3.1206  0.8719  -0.191
P  1.4256  1.8154  0.1431  0.969
C  2.0252  2.2802  -1.4756  -0.402
C  2.0491  1.3785  -2.5329  -0.119
C  2.5453  1.7773  -3.7650  -0.042
C  3.0148  3.0721  -3.9368  -0.026
C  3.0011  3.9726  -2.8762  -0.032
C  2.5095  3.5822  -1.6418  -0.064
C  2.8242  1.5764  1.2242  -0.377
C  2.7315  1.8712  2.5870  -0.090
C  3.8584  1.7826  3.3870  -0.056
C  5.0746  1.3996  2.8333  -0.028
C  5.1693  1.1046  1.4787  -0.040
C  4.0481  1.1927  0.6738  -0.093
H  1.0654  3.9700  1.0935  0.080
H  -0.0304  2.7612  1.7977  0.053
H  -0.3721  3.4163  0.1884  0.042
H  1.6925  0.3634  -2.3993  0.029
H  2.5667  1.0784  -4.5909  0.117
H  3.3990  3.3834  -4.8991  0.125
H  3.3785  4.9772  -3.0110  0.125
H  2.5145  4.2869  -0.8190  0.120
H  1.7943  2.1834  3.0293  0.108
H  3.7950  2.0319  4.4379  0.124
H  5.9567  1.3478  3.4580  0.125
H  6.1226  0.8244  1.0516  0.123
H  4.1253  0.9787  -0.3853  0.113
S  -3.7462  3.1857  -2.0180  1.110
C  -2.2765  3.8195  -2.6160  -0.341
C  -1.2397  3.0505  -2.1973  -0.244
N  -1.5902  1.9760  -1.4081  -0.082
C  -2.8902  1.9351  -1.2504  -0.483
H  -2.2433  4.7031  -3.2327  0.091
H  -0.2037  3.2200  -2.4526  0.105
H  -3.3968  1.1557  -0.6987  0.067
O  -3.7379  -0.1004  1.1069  0.033
C  -2.9208  0.5520  1.7569  -0.620
O  -1.6631  0.6199  1.5764  -0.164
C  -3.4366  1.4000  2.9387  -0.141
N  -4.9208  1.1304  3.0457  0.108
C  -5.1908  0.4411  4.3707  -0.070
C  -3.8287  -0.1053  4.7661  -0.130
C  -2.8693  0.9885  4.2978  -0.103
H  -3.2750  2.4505  2.7015  0.169
H  -5.1215  0.5082  2.2425  0.157
H  -5.4794  1.9752  2.9473  0.188
H  -5.9686  -0.3038  4.2296  0.141
H  -5.5405  1.1999  5.0672  0.142